Given
Density functional theory data (PBE) for crystalline Na6Nb4Ga4Si7S5O48 at its relaxed geometry.

Properties
The energy is -6.924 eV/atom.

Cell lengths 8.796, 15.347, 22.551 Å; angles 89.75, 89.89, 90.00 degrees
Space group P1 (No. 1)
Asymmetric unit:
Na: 0.000 0.000 0.000 x1
Na: 0.002 0.673 0.333 x1
Na: 0.013 0.001 0.503 x1
Na: 0.116 0.503 0.753 x1
Na: 0.133 0.170 0.082 x1
Na: 0.361 0.671 0.585 x1
Na: 0.377 0.003 0.249 x1
Na: 0.482 0.502 0.002 x1
Na: 0.495 0.172 0.834 x1
Na: 0.496 0.833 0.669 x1
Na: 0.498 0.505 0.503 x1
Na: 0.505 0.833 0.170 x1
Na: 0.515 0.172 0.325 x1
Na: 0.637 0.002 0.757 x1
Na: 0.859 0.503 0.251 x1
Na: 0.981 0.675 0.827 x1
Na: 0.988 0.333 0.675 x1
Na: 0.998 0.334 0.165 x1
Nb: 0.016 0.666 0.972 x1
Nb: 0.018 0.667 0.481 x1
Nb: 0.474 0.167 0.981 x1
Nb: 0.483 0.837 0.022 x1
Nb: 0.487 0.160 0.475 x1
Nb: 0.502 0.504 0.145 x1
Nb: 0.510 0.508 0.858 x1
Nb: 0.518 0.507 0.354 x1
Nb: 0.981 0.002 0.858 x1
Nb: 0.985 0.007 0.357 x1
Nb: 0.993 0.003 0.648 x1
Nb: 0.996 0.335 0.526 x1
Ga: 0.033 0.332 0.015 x1
Ga: 0.461 0.831 0.515 x1
Ga: 0.497 0.176 0.688 x1
Ga: 0.500 0.501 0.651 x1
Ga: 0.504 0.836 0.312 x1
Ga: 0.506 0.170 0.186 x1
Ga: 0.517 0.835 0.822 x1
Ga: 0.965 0.337 0.316 x1
Ga: 0.989 0.335 0.813 x1
Ga: 0.989 0.670 0.687 x1
Ga: 0.991 0.997 0.147 x1
Ga: 0.993 0.677 0.184 x1
Si: 0.130 0.197 0.914 x1
Si: 0.140 0.471 0.913 x1
Si: 0.142 0.813 0.588 x1
Si: 0.151 0.524 0.592 x1
Si: 0.214 0.169 0.589 x1
Si: 0.218 0.839 0.910 x1
Si: 0.279 0.671 0.089 x1
Si: 0.345 0.023 0.093 x1
Si: 0.352 0.312 0.088 x1
Si: 0.353 0.970 0.413 x1
Si: 0.362 0.695 0.415 x1
Si: 0.633 0.981 0.917 x1
Si: 0.641 0.352 0.250 x1
Si: 0.643 0.696 0.918 x1
Si: 0.650 0.657 0.247 x1
Si: 0.704 0.001 0.245 x1
Si: 0.790 0.501 0.745 x1
Si: 0.846 0.154 0.750 x1
Si: 0.847 0.851 0.751 x1
Si: 0.854 0.195 0.418 x1
Si: 0.860 0.480 0.416 x1
S: 0.138 0.152 0.251 x1
S: 0.139 0.857 0.250 x1
S: 0.207 0.501 0.251 x1
S: 0.282 0.336 0.416 x1
S: 0.288 0.003 0.750 x1
S: 0.356 0.357 0.749 x1
S: 0.356 0.649 0.750 x1
S: 0.636 0.314 0.585 x1
S: 0.638 0.022 0.584 x1
S: 0.707 0.671 0.584 x1
S: 0.712 0.334 0.919 x1
S: 0.782 0.834 0.419 x1
S: 0.788 0.171 0.084 x1
S: 0.854 0.814 0.084 x1
S: 0.858 0.522 0.084 x1
O: 0.063 0.226 0.979 x1
O: 0.063 0.771 0.247 x1
O: 0.064 0.438 0.852 x1
O: 0.065 0.910 0.593 x1
O: 0.068 0.768 0.527 x1
O: 0.070 0.096 0.905 x1
O: 0.071 0.239 0.259 x1
O: 0.071 0.564 0.649 x1
O: 0.071 0.573 0.923 x1
O: 0.074 0.113 0.197 x1
O: 0.074 0.901 0.303 x1
O: 0.075 0.429 0.576 x1
O: 0.103 0.092 0.304 x1
O: 0.105 0.753 0.923 x1
O: 0.106 0.083 0.591 x1
O: 0.106 0.255 0.578 x1
O: 0.106 0.578 0.247 x1
O: 0.109 0.924 0.908 x1
O: 0.110 0.259 0.858 x1
O: 0.113 0.420 0.255 x1
O: 0.115 0.912 0.196 x1
O: 0.117 0.423 0.975 x1
O: 0.118 0.745 0.642 x1
O: 0.121 0.587 0.531 x1
O: 0.157 0.018 0.095 x1
O: 0.166 0.320 0.081 x1
O: 0.169 0.989 0.406 x1
O: 0.172 0.684 0.423 x1
O: 0.174 0.684 0.147 x1
O: 0.175 0.657 0.029 x1
O: 0.189 0.349 0.753 x1
O: 0.189 0.652 0.749 x1
O: 0.190 0.993 0.696 x1
O: 0.191 0.320 0.363 x1
O: 0.191 0.347 0.471 x1
O: 0.194 0.016 0.803 x1
O: 0.303 0.491 0.197 x1
O: 0.304 0.514 0.304 x1
O: 0.305 0.154 0.251 x1
O: 0.305 0.849 0.254 x1
O: 0.312 0.851 0.973 x1
O: 0.321 0.159 0.529 x1
O: 0.321 0.185 0.923 x1
O: 0.321 0.818 0.854 x1
O: 0.323 0.185 0.645 x1
O: 0.325 0.487 0.904 x1
O: 0.328 0.820 0.581 x1
O: 0.338 0.517 0.595 x1
O: 0.373 0.086 0.032 x1
O: 0.376 0.246 0.143 x1
O: 0.379 0.415 0.412 x1
O: 0.380 0.411 0.695 x1
O: 0.381 0.924 0.476 x1
O: 0.383 0.924 0.752 x1
O: 0.385 0.258 0.424 x1
O: 0.387 0.583 0.093 x1
O: 0.387 0.757 0.359 x1
O: 0.389 0.081 0.744 x1
O: 0.390 0.591 0.803 x1
O: 0.392 0.754 0.081 x1
O: 0.417 0.608 0.695 x1
O: 0.420 0.400 0.802 x1
O: 0.420 0.593 0.405 x1
O: 0.421 0.066 0.150 x1
O: 0.424 0.074 0.424 x1
O: 0.424 0.928 0.080 x1
O: 0.427 0.269 0.027 x1
O: 0.427 0.735 0.755 x1
O: 0.429 0.409 0.094 x1
O: 0.430 0.939 0.353 x1
O: 0.431 0.270 0.746 x1
O: 0.432 0.724 0.478 x1
O: 0.561 0.259 0.244 x1
O: 0.562 0.737 0.977 x1
O: 0.564 0.947 0.855 x1

Job
Find "0.071 0.573" and "0.103 0.092" in the notes further above, and transcribe these two lines and those between.

Written answer
O: 0.071 0.573 0.923 x1
O: 0.074 0.113 0.197 x1
O: 0.074 0.901 0.303 x1
O: 0.075 0.429 0.576 x1
O: 0.103 0.092 0.304 x1